Mixing blocking MPI communication and Julia concurrency

Hi Julia users, I have the following problem.

Next to the text, the page also holds records of crystals
'''
No. 1
K2BiH (PBE, optimized geometry); electronic total energy = -8.46 eV for the cell shown; density of states at the Fermi level = 1.314 states/eV per atom; space-group type = Fm-3m, No. 225; energy above the most stable polymorph in this dataset = 1.83 eV per formula unit; spin magnetization = 2.0 μB/f.u.
1.0
-4.091 -0.269 4.264
-1.158 4.775 3.293
-5.136 2.862 -0.644
Bi H K
1 1 2
Direct
0.500 0.500 0.500
0.000 0.000 0.000
0.250 0.250 0.250
0.750 0.750 0.750

---

No. 2
Sm3InAu2 (PBE, optimized geometry); electronic total energy = -27.60 eV for the cell shown; density of states at the Fermi level = 0.691 states/eV per atom; space-group type = P4/mmm, No. 123; spin magnetization = 0.0 μB/f.u.
1.0
3.659 0.000 0.000
0.000 3.659 0.000
0.000 0.000 11.606
Au Sm In
2 3 1
Direct
0.500 0.500 0.162
0.500 0.500 0.838
0.000 0.000 0.682
0.000 0.000 0.000
0.000 0.000 0.318
0.500 0.500 0.500

---

No. 3
NaYBe3 (PBE, optimized geometry); electronic total energy = -13.46 eV for the cell shown; density of states at the Fermi level = 0.659 states/eV per atom; space-group type = Pm-3m, No. 221; energy above the most stable polymorph in this dataset = 0.00 eV per formula unit; spin magnetization = 0.0 μB/f.u.
1.0
-3.031 3.025 1.279
-3.042 -1.930 -2.645
-1.238 -2.664 3.368
Y Na Be
1 1 3
Direct
0.500 0.500 0.500
0.000 0.000 0.000
0.000 0.500 0.000
0.500 0.000 0.000
0.000 0.000 0.500

---

No. 4
Y2Ho3Pd2 (PBE, optimized geometry); electronic total energy = -39.84 eV for the cell shown; density of states at the Fermi level = 1.260 states/eV per atom; space-group type = P-1, No. 2; energy above the most stable polymorph in this dataset = 0.97 eV per formula unit; spin magnetization = 0.0 μB/f.u.
1.0
-0.768 0.842 3.554
-9.779 0.085 -2.126
-4.236 -4.529 2.111
Y Pd Ho
2 2 3
Direct
0.612 0.376 0.776
0.388 0.624 0.224
0.359 0.072 0.282
0.641 0.928 0.718
0.844 0.286 0.313
0.156 0.714 0.687
0.000 0.000 0.000

---

No. 5
Ni2SnB (PBE, optimized geometry); electronic total energy = -42.46 eV for the cell shown; density of states at the Fermi level = 0.429 states/eV per atom; space-group type = I-42d, No. 122; energy above the most stable polymorph in this dataset = 0.00 eV per formula unit; spin magnetization = 0.0 μB/f.u.
1.0
-3.204 -2.638 -1.746
3.153 -2.868 -1.453
-0.375 -5.782 3.620
Ni Sn B
4 2 2
Direct
0.375 0.537 0.750
0.287 0.625 0.250
0.463 0.125 0.250
0.875 0.713 0.750
0.000 0.000 0.000
0.750 0.250 0.500
0.250 0.750 0.500
0.500 0.500 0.000

---

No. 6
Ta2CuSi (PBE, optimized geometry); electronic total energy = -33.21 eV for the cell shown; density of states at the Fermi level = 0.855 states/eV per atom; formation energy from raw total energies = 0.01 eV/f.u.; space-group type = P4mm, No. 99; spin magnetization = 0.0 μB/f.u.
1.0
3.423 0.000 0.000
0.000 3.421 0.000
0.000 0.000 5.457
Si Ta Cu
1 2 1
Direct
0.500 0.500 0.747
0.000 0.000 0.993
0.500 0.500 0.253
0.000 0.000 0.507

---

No. 7
'''

I have an MPI code with a controller/worker architecture: one process distributes and coordinates work across a bunch of worker processes. This is implemented using blocking MPI.Recv and MPI.Send and works fine as is but now I want the controller process to be able to do some work in its free time as well. I thought concurrent programming is a great way to achieve that.

It is simple: just start two tasks (all on the same thread!), one controller and one worker on a single process. Let them talk to each other via MPI (this is completed supported by the standard!)

Now the devil is in the details. I faced two challenges. one I solved already. The second one is kind of leaving me stumped.

Problem 1 (solved)

The standard MPI.Send and MPI.Recv commands will block and not yield to other tasks. So I made a wrappers like this

function send(data, comm; dest, tag)
    req = MPI.Isend(data, comm; dest, tag)
    while !MPI.Test(req)
    return nothing

This works like a charm!

Problem 2: Error handling

What happens if either the controller or worker error? It depends on how you schedule the tasks. If you do

@sync begin
    @Threads.spawn start_controller()
    @Threats.spawn start_worker()

This will hang because of the behavior of @sync: It will return a composite exception after all tasks have completed. But with the interlocked MPI communications, as soon as one task fails, the other one will hang forever!

What I want is some sync_or_error that aborts completely as soon as even one of the task throws an error (sort of like MPI would behave). So I wrote a cheeky version of that

function sync_or_error(tasks::AbstractArray{Task})
    c = Channel(Inf)
    for t in tasks
        @Threads.spawn begin
            put!(c, t)
    for _ in eachindex(tasks)
        t = take!(c)
        if istaskfailed(t)

This will indeed exit immediately with a nice exception once anything goes wrong. But it is cheeky in that the other tasks that did throw an exception just keep running/hanging in the background forever. This can cause trouble if you are in the REPL and try to start the controller again since they will try to talk to it out of nowhere.

My question: Is there an easy way to abort these hanging tasks?

I tried to read up a little about it and did not find that I don’t quite understand these caveats around using schedule(t, v; error=true) on running tasks. It seems almost like what I want. One challenge is that I cannot control where all of the yields are in the worker function since it is user code. Maybe that is related?